Now copy the contents underneath from the first line to the one with "O13 0.230" character by character.

********
# 1
Compound: La2Ga5Cu3
Source: the Materials Project
Functional: PBE-GGA
Structure: optimized geometry

a = 4.326 Å, b = 4.326 Å, c = 10.228 Å
α = 90.00°, β = 90.00°, γ = 90.00°
Atoms (fractional coordinates):
La1 0.500 0.000 0.747
La2 0.000 0.500 0.253
Ga1 0.000 0.500 0.868
Ga2 0.500 0.000 0.380
Ga3 0.500 0.000 0.132
Ga4 0.000 0.500 0.620
Ga5 0.500 0.500 0.000
Cu1 0.000 0.000 0.500
Cu2 0.000 0.000 0.000
Cu3 0.500 0.500 0.500

- total energy (eV per atom) = -4.217
- symmetry = P-4m2 (115)
- formation energy from the elements (eV per atom) = -0.49

=====

# 2
Compound: Sr2LaGaCu2O7
Source: the Materials Project
Functional: PBE-GGA
Structure: optimized geometry

a = 12.306 Å, b = 12.306 Å, c = 12.306 Å
α = 154.20°, β = 153.56°, γ = 37.27°
Atoms (fractional coordinates):
Sr1 0.174 0.653 0.520
Sr2 0.826 0.346 0.479
Sr3 0.633 0.153 0.479
Sr4 0.367 0.846 0.520
La1 0.000 0.502 0.502
La2 0.500 0.002 0.502
Ga1 0.180 0.221 0.900
Ga2 0.820 0.721 0.041
Cu1 0.076 0.080 0.001
Cu2 0.924 0.926 0.004
Cu3 0.579 0.580 0.004
Cu4 0.421 0.426 0.001
O1 0.875 0.375 0.749
O2 0.125 0.875 0.500
O3 0.820 0.322 0.002
O4 0.180 0.182 0.503
O5 0.821 0.822 0.503
O6 0.179 0.682 0.002
O7 0.315 0.819 0.000
O8 0.685 0.685 0.504
O9 0.319 0.319 0.504
O10 0.681 0.185 0.000
O11 0.627 0.714 0.985
O12 0.373 0.358 0.087
O13 0.230 0.214 0.087
O14 0.770 0.858 0.985

- total moment (μB/cell) = 0.001
- total energy (eV per atom) = -6.279
- symmetry = Ima2 (46)
- formation energy from the elements (eV per atom) = -2.48

=====

# 3
Compound: Li2GaCu3
Source: the Materials Project
Functional: PBE-GGA
Structure: optimized geometry

a = 4.859 Å, b = 4.859 Å, c = 4.859 Å
α = 61.09°, β = 61.09°, γ = 61.09°
Atoms (fractional coordinates):
Li1 0.625 0.625 0.625
Li2 0.375 0.375 0.375
Ga1 0.000 0.000 0.000
Cu1 0.000 0.500 0.000
Cu2 0.500 0.000 0.000
Cu3 0.000 0.000 0.500

- total energy (eV per atom) = -3.358
- symmetry = R-3m (166)
- formation energy from the elements (eV per atom) = -0.17

=====

# 4
Compound: Lu3Ga8Cu3
Source: the Materials Project
Functional: PBE-GGA
Structure: optimized geometry

a = 4.224 Å, b = 8.006 Å, c = 8.006 Å
α = 72.72°, β = 74.70°, γ = 74.70°
Atoms (fractional coordinates):
Lu1 0.000 0.000 0.000
Lu2 0.309 0.691 0.691
Lu3 0.691 0.309 0.309
Ga1 0.131 0.580 0.157
Ga2 0.869 0.420 0.843
Ga3 0.131 0.157 0.580
Ga4 0.869 0.843 0.420
Ga5 0.343 0.289 0.025
Ga6 0.657 0.711 0.975
Ga7 0.343 0.025 0.289
Ga8 0.657 0.975 0.711
Cu1 0.000 0.500 0.500
Cu2 0.500 0.303 0.697
Cu3 0.500 0.697 0.303

- total moment (μB/cell) = 0.000
- total energy (eV per atom) = -4.012
- symmetry = Immm (71)
- formation energy from the elements (eV per atom) = -0.43

~~~~~

Entry 1:
Compound: Mg14TiBiO16
Source: Materials Project
Functional: PBE
Structure: relaxed

Computed properties:
Formation energy ... -2.720 eV/atom

abc: 8.7354 8.7354 4.4177
angles: 90.00 90.00 90.00
Space group P4/mmm (No. 123)
One atom of each set of equivalent atoms:
Mg  0.0000  0.2496  0.0000
Mg  0.0000  0.5000  0.5000
Mg  0.2364  0.5000  0.0000
Mg  0.2418  0.2418  0.5000
Ti  0.0000  0.0000  0.5000
Bi  0.5000  0.5000  0.5000
O  0.0000  0.0000  0.0000
O  0.0000  0.2574  0.5000
O  0.0000  0.5000  0.0000
O  0.2316  0.5000  0.5000
O  0.2510  0.2510  0.0000
O  0.5000  0.5000  0.0000

=====

Entry 2:
Compound: Mn3SiNi2
Source: Materials Project
Functional: PBE
Structure: relaxed

Computed properties:
Formation energy ... -0.196 eV/atom

abc: 10.6881 10.6881 10.6881
angles: 90.00 90.00 90.00
Space group Fd-3m (No. 227, origin choice 2)
One atom of each set of equivalent atoms:
Mn  0.0655  0.3750  0.3750
Si  0.0000  0.0000  0.5000
Ni  0.0389  0.0389  0.7111

=====

Question: Look up the formation energy of the first one.
Answer: -2.720 eV/atom

=====

Question: What is the formula in the second record?
Answer: Mn3SiNi2
********

# 1
Compound: La2Ga5Cu3
Source: the Materials Project
Functional: PBE-GGA
Structure: optimized geometry

a = 4.326 Å, b = 4.326 Å, c = 10.228 Å
α = 90.00°, β = 90.00°, γ = 90.00°
Atoms (fractional coordinates):
La1 0.500 0.000 0.747
La2 0.000 0.500 0.253
Ga1 0.000 0.500 0.868
Ga2 0.500 0.000 0.380
Ga3 0.500 0.000 0.132
Ga4 0.000 0.500 0.620
Ga5 0.500 0.500 0.000
Cu1 0.000 0.000 0.500
Cu2 0.000 0.000 0.000
Cu3 0.500 0.500 0.500

- total energy (eV per atom) = -4.217
- symmetry = P-4m2 (115)
- formation energy from the elements (eV per atom) = -0.49

=====

# 2
Compound: Sr2LaGaCu2O7
Source: the Materials Project
Functional: PBE-GGA
Structure: optimized geometry

a = 12.306 Å, b = 12.306 Å, c = 12.306 Å
α = 154.20°, β = 153.56°, γ = 37.27°
Atoms (fractional coordinates):
Sr1 0.174 0.653 0.520
Sr2 0.826 0.346 0.479
Sr3 0.633 0.153 0.479
Sr4 0.367 0.846 0.520
La1 0.000 0.502 0.502
La2 0.500 0.002 0.502
Ga1 0.180 0.221 0.900
Ga2 0.820 0.721 0.041
Cu1 0.076 0.080 0.001
Cu2 0.924 0.926 0.004
Cu3 0.579 0.580 0.004
Cu4 0.421 0.426 0.001
O1 0.875 0.375 0.749
O2 0.125 0.875 0.500
O3 0.820 0.322 0.002
O4 0.180 0.182 0.503
O5 0.821 0.822 0.503
O6 0.179 0.682 0.002
O7 0.315 0.819 0.000
O8 0.685 0.685 0.504
O9 0.319 0.319 0.504
O10 0.681 0.185 0.000
O11 0.627 0.714 0.985
O12 0.373 0.358 0.087
O13 0.230 0.214 0.087